Frequently Asked Questions

Getting Started

How do we get set up with the app?

  • Submit a staff roster per campus/facility, including:
  • Name
  • Email Address
  • Role (e.g., staff, admin, law enforcement)
  • Complete additional forms for app customization.
  • We’ll handle the setup from there!

How quickly can we be set up?

  • The setup speed largely depends on how promptly we receive the required information from you. We strive to complete setups as quickly as possible.

App Functionality

How does the alert system work?

  • Users you designate can activate up to 3 different alerts.
  • You determine which users receive which alerts.
  • Alerts can be customized for different campuses and authorities.

Can the app connect to our attendance system?

  • No, the LockNow App focuses on essential features to remain cost-effective and does not integrate with other systems.

How does live messaging work?

  • You choose who can view and participate in live messaging. There are three options: no access, view-only, and full access (view and participate).

Alert Management

Who can activate and receive alerts?

  • You determine who can activate and receive each of the 3 alert types.

How are alerts managed across multiple campuses?

  • Campuses are typically set up independently but customization is available. You determine how alerts are managed and received across different campuses and authorities.

What happens with multiple alerts on the same campus?

  • The first activated alert is sent out first, with the option to escalate to a red alert if needed.

Usage and Compliance

What information is collected from users?

  • We collect names, email addresses, and phone numbers, and do not disclose this information to any third parties.

How do you prevent false alarms outside of operational hours?

  • LockNow can be set to be active or inactive based on the times determined by your facility.

What if employees don’t want to download the app?

  • While we can’t force usage, we recommend employers request notification from employees who choose not to use the app for effective emergency planning.

Technical Aspects

What happens if someone is on a call during an alert?

  • The phone will vibrate and sound an alert speakers in the background during a call.

How long does an alert sound?

**Calculated molecules from another source follow**
- - -
No. 1
The following is a DFT calculation (the ωB97M-V functional and the def2-TZVPD basis) of C26H60CaCl4F2N9O12S2 as an isolated structure.

Properties
HOMO-LUMO gap (spin up / spin down) = 8.7 / 4.5 eV
LUMO energy (spin up / spin down) = -4.63 / -8.78 eV
Highest occupied orbital energy (spin up / spin down) = -13.292 / -13.292 eV
Total charge = +2
Spin multiplicity = 2

Element x y z (Å)
Ca -1.7162 2.5952 0.4768
N -0.8748 0.5709 0.5713
S -1.0404 -0.6831 -0.2304
O -1.7037 -1.8080 0.2984
O -0.0147 -0.9008 -1.2427
F -2.1779 -0.1149 -1.1632
S 0.1989 -0.1926 1.6647
O 1.5616 -0.4941 1.3127
O -0.4006 -1.0809 2.6749
F 0.5426 1.1369 2.5288
C -0.1764 -6.5241 -4.0277
C -0.2835 -5.1053 -3.4265
O 0.6405 -4.6228 -2.7838
N -1.4230 -4.4412 -3.7145
C -1.6321 -3.0239 -3.2814
H 0.7046 -6.7620 -4.6238
H -0.9798 -6.8934 -4.6652
H -0.0943 -7.1023 -3.1073
H -2.1101 -4.9022 -4.2937
H -2.5738 -2.5517 -3.5610
H -0.8367 -2.3912 -3.6753
H -1.6571 -2.8391 -2.2075
C 4.8177 -4.8861 2.5415
C 4.4366 -3.9332 3.6679
O 5.3156 -3.4687 4.3705
N 3.1625 -3.5166 3.7487
C 2.5960 -2.5045 4.5900
H 4.2938 -5.8377 2.6318
H 5.8870 -5.0946 2.5765
H 4.6204 -4.3784 1.5973
H 2.5730 -3.9281 3.0393
H 2.1495 -2.8153 5.5345
H 1.7623 -2.1221 4.0011
H 3.3239 -1.7104 4.7562
C 5.4114 3.3569 -2.8856
C 4.6243 2.2300 -2.2050
O 5.0208 1.8163 -1.1579
N 3.5330 1.7733 -2.8622
C 2.7760 0.7019 -2.3238
H 5.6992 3.0675 -3.8964
H 6.3063 3.5118 -2.2830
H 4.8418 4.2824 -2.8009
H 3.2365 2.2026 -3.7270
H 3.4103 0.0113 -1.7680
H 2.4305 0.2084 -3.2322
H 1.9714 1.0241 -1.6628
C -0.2589 -5.3447 0.3330
C 0.9290 -4.4814 0.7685
O 1.2236 -4.3611 1.9777
N 1.5328 -3.8787 -0.2245
C 2.8038 -3.1645 -0.1801
H -1.0183 -4.7256 -0.1448
H -0.8772 -5.8631 1.0658
H 0.1561 -6.0944 -0.3406
H 1.1394 -4.0303 -1.1423
H 3.0330 -2.6082 0.7289
H 2.9912 -2.4903 -1.0158
H 3.5868 -3.9067 -0.3359
C -3.6989 4.4230 -3.1076
C -3.8357 3.1050 -2.4087
O -3.1445 2.7977 -1.3937
N -4.7502 2.2462 -2.9111
C -5.0300 0.8507 -2.4731
H -3.8646 5.2285 -2.3922
H -4.4739 4.6611 -3.8362
H -2.6699 4.5548 -3.4421
H -5.2605 2.5557 -3.7259
H -4.7518 0.5737 -1.4563
H -4.5896 0.1426 -3.1750
H -6.1156 0.7666 -2.5226
C -3.8788 4.2068 3.6102
C -2.5490 3.4427 3.7579
O -2.0099 2.8324 2.7821
N -2.0752 3.4717 4.9619
C -0.8904 2.6977 5.4085
H -3.6728 5.1881 3.1829
H -4.3600 4.3120 4.5826
H -4.6387 3.7962 2.9454
H -2.6916 3.9303 5.6175
H -0.1867 3.2496 6.0317
H -0.2846 2.3104 4.5893
H -1.1491 1.8888 6.0917
C 0.5432 5.6701 2.6077
C 0.8960 4.4536 1.8198
O 0.0680 3.9732 1.0778
N 2.1738 3.9781 1.9618
C 2.6455 2.8191 1.2027
H 0.5785 6.6167 2.0685
H 1.1862 5.8148 3.4759
H -0.4571 5.4796 2.9965
H 2.8474 4.6227 2.3502
H 3.2139 3.1830 0.3468
H 1.8331 2.2557 0.7437
H 3.3079 2.1396 1.7389
C 0.9244 4.5219 -2.5737
C 0.0599 3.3120 -2.5677
O -0.5750 2.9868 -1.5964
N 0.2044 2.5957 -3.6786
C -0.4253 1.2885 -3.8912
H 1.0937 4.7765 -1.5274
H 0.5341 5.4334 -3.0262
H 1.8986 4.3089 -3.0138
H 0.8936 2.9024 -4.3502
H 0.0827 0.4989 -3.3375
H -0.3472 0.9858 -4.9354
H -1.4732 1.2690 -3.5919
- - -

  • Alerts sound for a specific period or until the notification is opened, depending on your phone. The alarm also sounds when an alert is ended

What are the minimum operating system requirements?

  • Android: Version 5.0 and above.
  • iOS: Version 10.0 and above.

How can I check my phone’s compatibility with the app?


For iOS Users:

  1. Check OS Version:
  2. Open the "Settings" app.
  3. Scroll down and tap on "General."
  4. Tap on "About."
  5. Here, you'll see the "Software Version" which indicates your current iOS version.

For Android Users:

  1. Check OS Version:
  2. Open the "Settings" app.
  3. Scroll down and tap on "About phone" or "About device" (this might vary slightly depending on the manufacturer).
  4. Look for "Software information" or directly for "Android version."

Additional Features

Can authorities receive alerts?

  • Yes, with your permission, authorities can receive either only active threat alerts or all alerts.

Can we add custom alerts?

  • Yes, we can add new or different alerts based on your organization’s needs.

What are drills and how are they used?

  • Drills are practice runs for emergency preparedness, clearly labeled as drills in alerts and messaging. You determine access and activation permissions.

Support and Feedback

Who do I contact for support or additional questions?

  • Please contact us at